In our recent conversations with teachers and educational leaders at various levels, two things came through loud and clear: everyone is working at maximum capacity to maintain instructional continuity, and the last thing teachers need is another philosophical tome about distance learning, another software solution, or simply one more thing to learn. What they did ask for was something quick and easy to help everyone keep tabs on how things are going in this unexpected, new environment.
Educators emphasized the importance of being able to gather feedback from the perspective of parents, students, and teachers, to stay aware of challenges that arise and what support is needed. If you don’t already have something like this in place, we recommend that you implement a set of frequent check-ins to keep up regular communication. These check-ins should be short, focused on the current needs of each target group, and yield information that is easily actionable.
In the library within the Survey Tool (part of the TIM Evaluation Tools) we created a set of quick check-ins for your use. You can modify them to meet your needs, or use them as is.
Weekly Student Check-In (Single Teacher)
A short form for students to check in weekly during a distance learning emergency. Results can be used by the teacher, school, or district.
Weekly Student Check-In (Multiple Teachers)
A short form for students to check in weekly during a distance learning emergency. Results can be used by the teacher, school, or district.
Weekly Parent Check-In
A short form for parents or guardians to check in weekly during a distance learning emergency. Results can be used by the teacher, school, or district.
____________
A structure of composition C40H56GeN8O2S2V, computed with the ωB97M-V functional and the def2-TZVPD basis.

```
110
Properties=species:S:1:pos:R:3:forces:R:3:lowdin_charge:R:1
V 0.19518 -0.61731 -2.06466 -1.453 -2.559 -0.130 0.5704
C 4.86428 -4.19353 -1.70575 -0.185 -0.087 -0.057 -0.0924
C 3.53490 -4.89150 -1.43495 0.017 0.291 0.010 -0.2439
N 2.39743 -4.34520 -2.16796 0.283 -0.032 0.102 -0.0212
C 1.98955 -3.04969 -2.25635 -0.138 0.325 -0.272 -0.7823
S 0.46584 -2.78059 -3.05901 -0.035 -0.463 -0.140 0.6667
N 2.71441 -2.05259 -1.82794 0.595 -0.532 0.320 0.0108
N 2.10291 -0.84977 -2.06041 1.468 0.305 0.044 -0.1848
C 2.85497 0.21266 -2.26042 0.286 -0.436 0.033 -0.2468
C 4.34682 0.19254 -2.16809 -0.085 0.075 0.010 -0.0107
C 2.08065 1.33238 -2.70858 -0.198 0.056 -0.330 -0.2054
C 2.52098 2.65348 -2.84177 0.113 -0.030 -0.030 -0.0212
C 1.65791 3.61562 -3.31490 -0.014 -0.118 0.029 -0.0601
C 0.35724 3.24057 -3.67535 0.015 -0.082 -0.038 -0.0653
C -0.02438 1.92971 -3.51437 -0.020 0.342 -0.135 -0.1097
N 0.79959 0.98160 -3.03795 0.356 1.185 -0.400 -0.0310
H 5.65103 -4.64522 -1.09950 -0.016 -0.044 -0.022 0.0721
H 4.77228 -3.14333 -1.45276 0.110 0.088 0.012 0.0390
H 5.13758 -4.27772 -2.75800 0.009 0.014 -0.005 0.0776
H 3.32825 -4.85800 -0.35845 0.033 -0.053 -0.029 0.0774
H 3.60942 -5.93864 -1.73040 -0.057 -0.022 0.071 0.1123
H 1.71953 -5.00084 -2.50987 -0.022 -0.019 -0.044 0.0937
H 4.70116 -0.81477 -2.37517 0.014 0.008 0.014 0.0633
H 4.68160 0.46607 -1.16393 0.012 -0.005 0.007 0.0903
H 4.79688 0.88267 -2.88101 -0.011 0.039 0.018 0.0775
H 3.53336 2.90286 -2.55290 0.001 0.009 0.001 0.1061
H 1.96909 4.64812 -3.39784 0.048 -0.005 -0.009 0.1107
H -0.34140 3.96940 -4.06037 -0.027 -0.031 0.004 0.1011
H -1.03019 1.60710 -3.75364 -0.001 0.002 0.054 0.1261
O -3.09238 0.78959 -0.96428 0.250 -0.166 0.064 0.0170
C -1.95932 0.85829 -0.48361 -0.474 0.207 0.137 -0.6230
O -0.89264 0.57070 -1.14848 -1.157 1.509 1.036 -0.2711
C -1.79273 1.30080 0.96935 0.322 0.030 -0.304 -0.1619
C -0.39725 1.85346 1.30608 -0.156 0.086 -0.077 -0.2672
Ge -0.44115 3.76491 1.78946 0.085 -0.404 0.017 1.0377
C 1.43197 4.37458 1.73570 -0.323 -0.006 0.069 -0.2589
C 2.16003 4.12810 0.57211 -0.068 -0.022 -0.015 -0.1060
C 3.51102 4.43026 0.50206 0.040 0.013 -0.033 -0.0893
C 4.15751 4.98046 1.60087 -0.020 -0.019 0.017 -0.0949
C 3.44126 5.24155 2.75968 0.070 0.035 0.036 -0.0917
C 2.08665 4.94406 2.82402 -0.092 0.000 -0.014 -0.1137
C -1.14743 3.63786 3.62299 0.088 0.106 -0.290 -0.2638
C -0.33137 2.99334 4.55472 0.019 0.069 -0.034 -0.1258
C -0.82993 2.58897 5.78239 0.007 -0.006 0.037 -0.0882
C -2.16149 2.82514 6.09893 0.035 -0.011 0.003 -0.0954
C -2.97958 3.47806 5.19025 -0.062 -0.018 0.062 -0.0899
C -2.47746 3.87423 3.95709 0.017 0.079 -0.045 -0.1046
C -1.61723 4.65607 0.49155 0.228 -0.110 0.262 -0.2546
C -2.47293 5.70881 0.80498 0.048 0.015 0.037 -0.1132
C -3.33650 6.22634 -0.15037 -0.044 0.056 -0.009 -0.0898
C -3.35294 5.69738 -1.43277 -0.006 -0.046 -0.013 -0.0873
____________
Weekly Teacher Check-In
A short form for teachers to check in weekly with a supervisor or mentor during a distance learning emergency.
In anticipation of the end to online-only schooling and a return to some level of in-person schooling in the fall, we created a set of surveys to help you capture the learnings from your current experience and use them as you build readiness plans for the future. Each of these surveys is designed to elicit feedback and suggestions from a variety of stakeholders, including: parents, teachers, and non-instructional staff. We plan to add a similar survey targeted toward students.
Our Schooling at Home Experience
This survey captures the experience parents had with their children’s online learning experience during the COVID-19 school closure so that a school or district can better prepare for such events in the future.
Data records that have nothing to do with the page:
1.
ORCA calculation (ωB97M-V/def2-TZVPD) on a molecular structure, C25H18CaCl7N2O4PS2.

Summary:
- frontier orbital gap (eV) = 5.17
- largest force on an atom (Eh/bohr) = 0.0150
- relative energy (zero: lowest compared OMol25 entry of this formula, charge and spin) (kcal per mole) = 22.2
- LUMO level (eV) = 3.946
- total charge = -2
- electronic energy (eV) = -174448.5889

Element x y z (Å)
Ca -0.11 0.53 0.16
Cl -4.68 -1.78 0.54
C -3.13 -2.58 0.46
C -3.09 -3.96 0.68
C -1.92 -4.65 0.63
Cl -1.92 -6.38 0.89
C -0.70 -3.97 0.36
C 0.56 -4.60 0.29
C 1.68 -3.86 0.03
C 1.54 -2.48 -0.16
N 0.38 -1.86 -0.11
C -0.75 -2.58 0.16
C -1.99 -1.82 0.20
O -1.99 -0.56 -0.01
H -4.02 -4.49 0.88
H 0.63 -5.67 0.44
H 2.66 -4.32 -0.03
H 2.41 -1.86 -0.37
S 0.18 0.18 2.80
C -0.21 1.77 3.49
C -0.16 1.88 4.89
C -0.43 3.05 5.56
C -0.77 4.19 4.84
C -0.82 4.11 3.46
C -0.55 2.93 2.76
S -0.71 3.02 0.98
H 0.11 0.99 5.44
H -0.38 3.08 6.65
H -0.98 5.13 5.34
H -1.08 4.99 2.88
Cl 4.07 0.95 1.77
C 4.22 0.32 0.16
C 3.33 0.90 -0.87
C 3.07 -0.02 -1.99
Cl 1.48 0.05 -2.72
C 3.92 -1.06 -2.25
Cl 3.61 -2.09 -3.64
C 4.99 -1.37 -1.41
Cl 6.37 -2.27 -1.99
C 5.03 -0.71 -0.15
Cl 6.13 -1.34 1.07
C -0.59 3.07 -3.47
O -1.35 1.89 -3.70
P -1.84 1.13 -2.34
O -3.19 1.97 -2.06
C -3.84 1.89 -0.79
O -2.51 -0.17 -3.04
C -1.65 -1.27 -3.32
H -0.35 3.49 -4.45
H 0.35 2.84 -2.95
H -1.15 3.80 -2.89
H -4.54 2.73 -0.77
H -3.13 1.99 0.03
H -4.37 0.95 -0.71
H -2.29 -2.11 -3.58
H -1.05 -1.54 -2.45
H -0.99 -1.04 -4.15
N 2.29 3.22 -0.64
C 2.79 2.11 -0.75
H 1.43 3.24 -0.06

Atomic partial charges in e from the Mulliken method, atoms 1 to 8: 0.65, -0.29, 0.47, -0.65, 0.76, -0.32, 0.07, -1.00

***

2.
ORCA calculation (ωB97M-V/def2-TZVPD) on 3 unconnected molecules or ions with the total composition C21H53N3O6P3S.

Summary:
- frontier orbital gap (eV) = 6.34
- largest force on an atom (Eh/bohr) = 0.0530
- LUMO level (eV) = -3.119
- total charge = +1
- electronic energy (eV) = -78087.1127

Element x y z (Å)
C 3.97 -0.35 -4.75
C 3.75 -1.84 -4.46
C 2.59 -2.43 -5.25
C 1.27 -1.68 -5.10
O 0.81 -1.41 -6.44
C -0.27 -0.49 -6.37
C -1.48 -0.99 -5.61
N -1.15 -1.70 -4.29
P -2.66 -2.71 -3.90
S -2.95 -3.13 -2.06
P -1.05 -0.38 -3.08
O -0.25 0.74 -3.52
O -2.55 0.09 -2.90
O -0.59 -0.92 -1.70
C 0.13 -2.53 -4.48
C 0.57 -3.28 -3.24
O 1.49 -2.51 -2.52
C 1.96 -3.17 -1.36
P -0.17 -3.89 -5.78
O -0.65 -5.11 -5.13
H 3.29 0.22 -4.12
H 3.73 -0.11 -5.78
H 4.96 -0.03 -4.47
H 3.71 -2.03 -3.40
H 4.64 -2.35 -4.82
H 2.53 -3.49 -5.00
H 2.88 -2.39 -6.29
H 1.45 -0.77 -4.55
H -0.60 -0.30 -7.38
H 0.10 0.46 -5.98
H -2.11 -0.13 -5.43
H -2.09 -1.65 -6.22
H -2.64 -3.86 -4.72
H -3.67 -1.86 -4.38
H -2.62 0.92 -3.41
H -0.56 -0.14 -1.11
H 1.06 -4.20 -3.58
H -0.25 -3.61 -2.60
H 3.02 -3.00 -1.27
H 1.80 -4.25 -1.39
H 1.49 -2.78 -0.45
H 1.02 -4.13 -6.47
H -1.13 -3.45 -6.71
C -0.08 5.81 3.13
C -0.60 5.19 1.84
N 0.44 4.53 1.07
C 0.04 4.21 -0.28
C -1.11 3.21 -0.48
C 1.19 3.50 1.77
C 0.40 2.33 2.37
H 0.76 6.47 2.94
H -0.87 6.39 3.61
H 0.24 5.05 3.85
H -1.02 6.00 1.23
Working from Home Staff Survey
This survey captures the experience non-instructional staff had working from home during the COVID-19 school closure so that a school or district can better prepare for such events in the future.
Teaching from Home Survey
This survey captures the experience teachers had teaching from home during the COVID-19 school closure so that a school or district can better prepare for such events in the future.
Regardless of your role in the current effort to keep good instruction going, we commend you for your dedication, energy, and commitment to the educational integrity of our students. Thank you!
Christine Harmes is a consultant on research, measurement, and evaluation, and an ICF-certified coach. Her research interests focus on improving teacher use of technology, computer-based testing and usability. At the Florida Center for Instructional Technology at the University of South Florida, Dr. Harmes focuses on research and tool development related to technology integration.